How to Cut Onboarding Time to the Absolute Minimum

Why does onboarding time matter?
Can’t we skip it?
As managers, we have a lot on our plate. There never seem to be enough hours in the day.
Why worry about onboarding time at all? Won’t new employees eventually figure it out anyway? Aren’t there more pressing problems to deal with?
I’m always elated when the signed offer letter comes in when filling an open role.
Then I realize how much work it’ll take to onboard them properly. I look for any excuse to avoid it.
But as much as I want to skip onboarding entirely and let new employees onboard themselves, I know I’m leaving a huge opportunity on the table. I force myself to run a real onboarding program.
Because cutting the time that it takes to onboard a new employee has a major impact on my team’s ability to hit their goals.
Let’s say it takes me a month before a new employee is running full speed. When combined with the rest of the lead time on hiring, that’s about five months between identifying the need for the new hire and getting a tangible impact from their output:
- 1 month to get approval for the new role.
- 2 months on recruitment.
- 1 month onboarding.
- 1 month for work to go live and have an impact.
That’s a pretty long delay after I made the initial decision to fill a role. By the end of this process, I’m desperate for the impact of the new hire. The team is well past the point of needing an extra set of hands.
Cutting onboarding from a month down to 1-2 weeks frees up several critical weeks, helping the entire team get the relief that they need.
For me, onboarding can’t happen quickly enough.
What’s the typical amount of time spent on onboarding?
CareerBuilder completed a study that included 2300 hiring managers and found these results:
So about half of the companies onboard in a week or less.
I’ll be honest, I’m a little skeptical of these numbers. I believe the data, I’m just skeptical of how people define “onboarding.”
I suspect that most “one day” onboarding programs are just orientation days, the real onboarding work of getting the employee plugged into the organization hasn’t been factored in. For us, orientation includes the welcome events that are one step of the larger onboarding process. If you don’t have a deliberate onboarding program, it typically takes 1-2 months before an employee is truly onboarded and fully productive in my experience.
We consider 1-2 months to be the norm to get an employee completely onboarded. Orientation is typically completed in a day, possibly a week at most.
How much time should onboarding ideally take?
With a strong onboarding process, the entire onboarding time can be reduced to 1-2 weeks.
That includes all the orientation activities, getting to know the team, shipping the first few projects, and becoming a fully productive member of the team by the end of the second week. This doesn’t happen by accident, you need a tight and thorough onboarding process for this.
While I typically recommend that companies implement an entire onboarding process to reap the full benefits, there are a number of tricks that I use to shorten onboarding time.
4 tricks to reduce onboarding time
## Misplaced crystal structures
-- begin --
[1]
This record from Alexandria describes a crystal of Zr3ZnN relaxed with PBEsol. The functional is SCAN.

Structure (POSCAR):
```
Zr3ZnN
1.0
-1.697 2.815 -0.420
-3.297 -3.404 3.578
4.034 3.481 7.029
Zr N Zn
6 2 2
Cartesian
2.619 2.415 5.602 Zr
0.737 1.818 9.202 Zr
-3.579 0.477 4.585 Zr
-0.076 2.473 3.809 Zr
-0.884 0.419 6.377 Zr
-1.697 1.075 0.985 Zr
0.000 0.000 0.000 N
2.017 1.740 3.515 N
-1.115 -0.152 3.482 Zn
0.154 3.044 6.705 Zn
```

## Properties
**Density**: 7036 kg/m3
**Formation energy from raw total energies**: -1059 meV per atom
**Size of the total moment**: 0.0 μB per cell
**Space-group type**: Cmcm
**Polymorph energy (0 for the lowest one)**: 0.00 eV/f.u.
**Density of states at the Fermi level**: 0.605 states/eV/atom

=====

[2]
This record from Alexandria describes a crystal of Na relaxed with PBEsol. The functional is SCAN.

Structure (POSCAR):
```
Na
1.0
-2.043 -2.725 1.206
1.052 -0.691 -3.386
2.907 0.354 2.116
Na
1
Cartesian
0.000 0.000 0.000 Na
```

## Properties
**Density**: 1052 kg/m3
**Size of the total moment**: 0.0 μB per cell
**Space-group type**: Im-3m
**Polymorph energy (0 for the lowest one)**: 0.00 eV/f.u.
**Density of states at the Fermi level**: 0.448 states/eV/atom

=====

[3]
This record from Alexandria describes a crystal of Na relaxed with PBEsol. The functional is SCAN.

Structure (POSCAR):
```
Na
1.0
-0.802 3.112 10.642
-9.832 -3.839 -3.489
7.654 -8.005 -0.953
Na
29
Cartesian
1.348 -3.979 4.798 Na
-4.527 0.570 5.851 Na
4.897 -5.122 -0.610 Na
4.899 -4.204 3.657 Na
0.000 0.000 0.000 Na
2.551 -1.116 6.878 Na
-7.035 -1.361 1.926 Na
0.995 -3.731 -1.022 Na
-2.173 0.435 3.323 Na
-6.290 -2.456 -2.232 Na
1.244 -7.018 -2.063 Na
-1.073 -3.145 2.233 Na
-7.198 -2.063 5.615 Na
2.715 -2.407 1.670 Na
-2.226 -2.964 -1.489 Na
-3.837 -0.846 0.720 Na
-1.271 -1.513 6.276 Na
-1.911 -9.015 -1.635 Na
2.152 -6.013 1.582 Na
-1.519 -6.186 0.312 Na
3.735 -4.668 7.200 Na
-3.612 -5.861 -2.767 Na
-4.203 -2.656 3.993 Na
-2.016 -4.867 5.904 Na
-4.926 -4.326 0.556 Na
-0.405 -6.985 3.695 Na
1.158 -0.359 3.806 Na
-0.513 1.991 6.809 Na
-3.736 -6.192 3.212 Na
```

## Properties
**Density**: 1047 kg/m3
**Size of the total moment**: 0.0 μB per cell
**Space-group type**: I-43m
**Polymorph energy (0 for the lowest one)**: 0.01 eV/f.u.
**Density of states at the Fermi level**: 0.454 states/eV/atom

=====

[4]
This record from Alexandria describes a crystal of Na relaxed with PBEsol. The functional is SCAN.

Structure (POSCAR):
```
Na
-- stop --
Here are my 4 favorite tricks to reduce onboarding time. When I use them, I almost always get a new employee fully onboarded within 2 weeks.
1. Cut out busy work
The most powerful lever to reduce onboarding time is to cut out as much of the busy work as possible during the onboarding period.
Here’s a trap that I’ve fallen into as a manager multiple times:
- New employee starts, I haven’t really given the onboarding program much thought.
- I run through the basic orientation as best as I can.
- I assign some trivial project that at least gives the new employee something to do. It’s usually the first project idea that pops into my head.
- I get back to my real work.
- Several days goes by before I remember to check in with the new employee.
- Repeat for several weeks until the new employee figures out how to provide value themselves.
Instead of maximizing the impact from the first few weeks, I end up giving work that amounts to fake projects so that the employee at least has something to do.
By taking a little time up front to come up with a valuable project that the employee can jump into right away, I’ve been able to shorten my onboarding time by several weeks. This alone can cut it from 4 weeks down to 2 weeks.
Once all the orientation tasks have been finished, get the new employee focused on real projects.
2. Pick the right difficulty for the first projects
For all of us, there’s an ideal difficulty on any given project. If it’s too easy, we’re bored and don’t learn anything. If it’s too hard, we’re overwhelmed, fail miserably, and don’t learn anything either.
We learn the fastest by hitting the sweet spot on difficulty. Every project needs to be just difficult enough that we’re forced to focus and learn. But not too difficult that we spend all our time just trying to survive. That maximizes our learning. When we stay in this sweet spot for long durations, gradually increasing difficulty as we go, we progress exceptionally quickly.
One of the most supportive things that a manager can do for a new employee is to give them a project that’s right in this learning/difficulty sweet spot. That accelerates their onboarding pace.
For every role and person, it’ll be a little different. You’ll need to use your best judgment when picking that first project. The point is to pick the first project deliberately and scale it to the capabilities of the new hire. If the first project is a little off, that’s okay. If the candidate is more experienced than you thought, make the second project more difficult. And if they struggle on the first project, go easy on the next one. Calibrate to the new employee to keep them learning as much as possible without them getting overwhelmed.
3. Build bonds beyond the new employee and key colleagues not on their immediate team
One thing that we don’t have to worry about as managers are the bonds between the new employee and their immediate team. Those will form naturally once the new employee starts on their first few projects. As long as the team is healthy, this will take care of itself.
Bonds outside of the immediate team don’t happen quickly though. During the normal course of a week, there just isn’t enough time with other teams to build those bonds. These bonds tend to get built over the long term. In most cases, that’s fine. But for any given role, there are usually a few key people that a new employee really needs to know outside their team. If the employee depends on workflow from outside their immediate team or hands their own work off to other teams, focus on these bonds.
Remember that new employees are trying to prove themselves and want to avoid doing anything embarrassing. That means they’ll avoid asking questions out of the fear of sounding stupid. Since it takes much longer for bonds outside the immediate team to develop, it can take several extra weeks to finish the first few projects while the new employee guesses at what to do next. Many new employees prefer to flounder around instead of asking directly for guidance.
As a manager, I have the ability to give my new employee the extra context that they need. By making a few introductions to those key folks outside their immediate team, I can cut a bunch of time out of the onboarding process. Here are a few easy ways to get those bonds building:
- Make sure the new employee announcement goes out to all the teams that the new employee will be working with.
- Invite some of these key folks to the new employee lunch or happy hour if do either of these.
- Give the new employee a list of these folks, tell the new employee to reach out to them and schedule a 30-minute meeting. The new employee’s assignment is to learn as much about that other person’s role as possible.
- During the second week of onboarding, check in with these folks and see if they have any feedback on the new employee. Then guide the new employee as necessary.
4. Shorten feedback cycles with the new employee
This is an old management trick I learned during one of the many fire drills I’ve been pulled into.
As a company, most of our feedback cycles follow monthly or weekly cadences. Weekly check-ins, monthly all-hands, weekly and monthly reports, weekly kick-offs and wrap-ups. This is the norm.
In most cases, these cycles work perfectly. They’re enough time for tangible progress to be made and short enough to course-correct as needed.
There are a few situations where a tighter cycle makes an enormous difference. A crisis situation is a perfect example. Whenever I find myself in one of these, I immediately move the team to daily check-ins. Note that these meetings are more involved than the standard daily check-ins of a scrum workflow.
Another place that daily check-ins work really well is during onboarding. If I really need an employee onboarded as quickly as possible, I’ll play this card. Instead of meeting 2-3 times during their first week and then meeting on a weekly cadence after that, I’ll immediately schedule daily one-on-one’s for as long as necessary until the employee is fully onboarded.
Work with the new employee each day to figure out exactly what they need to have completed by the next call. Then repeat the next day. Keep in mind a few things:
- Since there’s only one day to complete the work, de-scope projects substantially so the employee has enough time.
- Tell the new employee that this is an opportunity for lots of feedback. Whatever they bring to the next call is fine, everyone expects lots of iteration.
- Recommend that the employee keep a running list of questions as they work through the project, then you’ll answer all the questions during the next call.
Be careful though, I consider this a bit of a sledgehammer management tactic. It’s a great way to add urgency and get everyone on point. But the longer that people operate under this extra pressure, the more drained they’ll get. I always try to cycle back into a weekly cadence as soon as I can. This is probably too intense for onboarding most folks, I only do it for extremely urgent roles.